**Entries**
┌──
1.
{"formula": "C10H16N2OP", "method": "wB97M-V/def2-TZVPD", "symbols": ["C", "C", "C", "C", "C", "C", "C", "C", "C", "C", "N", "N", "O", "P", "H", "H", "H", "H", "H", "H", "H", "H", "H", "H", "H", "H", "H", "H", "H", "H"], "xyz": [[4.542633, 0.262549, 0.515184], [3.885222, -0.940417, 0.667351], [3.834902, 1.388042, 0.112080], [2.536023, -1.007604, 0.267947], [2.504292, 1.361334, -0.205437], [2.029897, 0.130939, -0.126929], [-3.055436, -1.028039, 0.404590], [-2.712247, 0.371019, 1.103862], [-1.865563, -2.674604, -1.016163], [-1.093338, 2.345416, 0.510223], [-2.145831, -1.197314, -0.734697], [-1.929968, 1.093802, 0.160669], [-0.994466, 0.703137, -2.171632], [-0.888472, 0.005327, -0.705176], [5.580330, 0.208815, 0.397705], [4.333785, -1.804918, 1.045588], [4.429873, 2.378593, -0.064691], [1.808612, -1.901941, 0.281396], [1.954939, 2.270580, -0.439545], [-3.070312, -1.854192, 1.103714], [-4.098849, -1.027519, -0.029698], [-3.610753, 0.866203, 1.324890], [-2.282440, 0.175940, 2.027375], [-1.397184, -2.792633, -2.138703], [-0.997231, -3.056071, -0.517778], [-2.737633, -3.293400, -0.846026], [-0.633369, 2.286248, 1.505351], [-0.255824, 2.509824, -0.359901], [-1.803682, 3.198478, 0.343333], [-1.867911, 1.022400, -2.414882]], "atomic_forces_ev_per_a": [[-1.3, -0.4, -1.0], [-1.4, 0.8, -0.6], [3.0, 2.2, -0.4], [-1.6, -3.6, 0.8], [-1.2, 2.2, -0.4], [-2.3, 0.4, -0.4], [-1.4, 1.5, -0.5], [-1.0, -1.9, -1.4], [1.9, 1.5, -3.4], [-0.5, 0.0, -2.4], [1.8, -1.6, 0.6], [3.6, 0.5, -0.9], [1.7, -0.7, 0.5], [-2.3, 0.8, -1.0], [1.6, 0.5, 0.8], [0.8, -1.2, 0.3], [-1.3, -1.9, 0.5], [1.9, 1.2, 0.2], [0.2, -0.3, -0.2], [0.5, -0.1, 0.3], [0.9, 0.3, 0.5], [-1.4, 0.9, 0.1], [1.4, -0.3, 1.8], [-1.9, 0.4, 2.3], [0.2, -0.2, 1.2], [-0.1, 0.2, -0.2], [-0.2, 0.2, -0.3], [-2.0, -0.6, 2.2], [0.9, -0.6, 0.7], [-0.4, -0.1, 0.2]], "multiplicity": 1, "relative_energy_ev": 3.369, "orbital_gap_ev": [6.599, 6.601], "total_charge": 1, "e_lumo_ev": [-5.76, -5.76]}


2.
{"formula": "C6H6N2", "method": "wB97M-V/def2-TZVPD", "symbols": ["C", "C", "C", "C", "C", "C", "H", "H", "H", "H", "H", "H", "N", "N"], "xyz": [[-1.069646, -1.178434, 0.052191], [-2.007585, 0.070989, -0.060270], [-1.147955, 1.133338, -0.032771], [0.234779, 0.771730, 0.006958], [1.618074, 1.066764, 0.066162], [2.285483, -0.195276, -0.102757], [-1.095877, -1.640718, 1.088446], [-1.186705, -2.028436, -0.571156], [-3.088425, -0.095172, -0.201174], [-1.523650, 2.051566, -0.346791], [2.003590, 2.102452, 0.259577], [3.321298, -0.292619, -0.050914], [1.448856, -1.162008, -0.098810], [0.207768, -0.604180, -0.008695]], "atomic_forces_ev_per_a": [[-1.1, -0.2, 2.6], [2.5, -1.5, 0.1], [-2.4, -0.7, -0.8], [2.1, -2.3, 0.6], [-1.1, 1.7, -0.3], [-1.1, 3.6, 1.2], [-0.6, 0.5, -0.8], [-0.4, -0.4, -1.2], [0.8, 0.8, 0.2], [-0.3, 1.9, 0.2], [-0.1, -1.4, -0.5], [1.4, -0.6, -0.2], [-2.6, -2.4, -0.1], [2.8, 1.0, -1.0]], "smiles": "C1=Cc2ccnn2C1", "multiplicity": 1, "relative_energy_ev": 1.412, "orbital_gap_ev": 9.203, "e_lumo_ev": 0.71}


3.
└──

**Request**
Now echo the whole of the lines further above exactly.

**Worked solution**
1.
{"formula": "C10H16N2OP", "method": "wB97M-V/def2-TZVPD", "symbols": ["C", "C", "C", "C", "C", "C", "C", "C", "C", "C", "N", "N", "O", "P", "H", "H", "H", "H", "H", "H", "H", "H", "H", "H", "H", "H", "H", "H", "H", "H"], "xyz": [[4.542633, 0.262549, 0.515184], [3.885222, -0.940417, 0.667351], [3.834902, 1.388042, 0.112080], [2.536023, -1.007604, 0.267947], [2.504292, 1.361334, -0.205437], [2.029897, 0.130939, -0.126929], [-3.055436, -1.028039, 0.404590], [-2.712247, 0.371019, 1.103862], [-1.865563, -2.674604, -1.016163], [-1.093338, 2.345416, 0.510223], [-2.145831, -1.197314, -0.734697], [-1.929968, 1.093802, 0.160669], [-0.994466, 0.703137, -2.171632], [-0.888472, 0.005327, -0.705176], [5.580330, 0.208815, 0.397705], [4.333785, -1.804918, 1.045588], [4.429873, 2.378593, -0.064691], [1.808612, -1.901941, 0.281396], [1.954939, 2.270580, -0.439545], [-3.070312, -1.854192, 1.103714], [-4.098849, -1.027519, -0.029698], [-3.610753, 0.866203, 1.324890], [-2.282440, 0.175940, 2.027375], [-1.397184, -2.792633, -2.138703], [-0.997231, -3.056071, -0.517778], [-2.737633, -3.293400, -0.846026], [-0.633369, 2.286248, 1.505351], [-0.255824, 2.509824, -0.359901], [-1.803682, 3.198478, 0.343333], [-1.867911, 1.022400, -2.414882]], "atomic_forces_ev_per_a": [[-1.3, -0.4, -1.0], [-1.4, 0.8, -0.6], [3.0, 2.2, -0.4], [-1.6, -3.6, 0.8], [-1.2, 2.2, -0.4], [-2.3, 0.4, -0.4], [-1.4, 1.5, -0.5], [-1.0, -1.9, -1.4], [1.9, 1.5, -3.4], [-0.5, 0.0, -2.4], [1.8, -1.6, 0.6], [3.6, 0.5, -0.9], [1.7, -0.7, 0.5], [-2.3, 0.8, -1.0], [1.6, 0.5, 0.8], [0.8, -1.2, 0.3], [-1.3, -1.9, 0.5], [1.9, 1.2, 0.2], [0.2, -0.3, -0.2], [0.5, -0.1, 0.3], [0.9, 0.3, 0.5], [-1.4, 0.9, 0.1], [1.4, -0.3, 1.8], [-1.9, 0.4, 2.3], [0.2, -0.2, 1.2], [-0.1, 0.2, -0.2], [-0.2, 0.2, -0.3], [-2.0, -0.6, 2.2], [0.9, -0.6, 0.7], [-0.4, -0.1, 0.2]], "multiplicity": 1, "relative_energy_ev": 3.369, "orbital_gap_ev": [6.599, 6.601], "total_charge": 1, "e_lumo_ev": [-5.76, -5.76]}


2.
{"formula": "C6H6N2", "method": "wB97M-V/def2-TZVPD", "symbols": ["C", "C", "C", "C", "C", "C", "H", "H", "H", "H", "H", "H", "N", "N"], "xyz": [[-1.069646, -1.178434, 0.052191], [-2.007585, 0.070989, -0.060270], [-1.147955, 1.133338, -0.032771], [0.234779, 0.771730, 0.006958], [1.618074, 1.066764, 0.066162], [2.285483, -0.195276, -0.102757], [-1.095877, -1.640718, 1.088446], [-1.186705, -2.028436, -0.571156], [-3.088425, -0.095172, -0.201174], [-1.523650, 2.051566, -0.346791], [2.003590, 2.102452, 0.259577], [3.321298, -0.292619, -0.050914], [1.448856, -1.162008, -0.098810], [0.207768, -0.604180, -0.008695]], "atomic_forces_ev_per_a": [[-1.1, -0.2, 2.6], [2.5, -1.5, 0.1], [-2.4, -0.7, -0.8], [2.1, -2.3, 0.6], [-1.1, 1.7, -0.3], [-1.1, 3.6, 1.2], [-0.6, 0.5, -0.8], [-0.4, -0.4, -1.2], [0.8, 0.8, 0.2], [-0.3, 1.9, 0.2], [-0.1, -1.4, -0.5], [1.4, -0.6, -0.2], [-2.6, -2.4, -0.1], [2.8, 1.0, -1.0]], "smiles": "C1=Cc2ccnn2C1", "multiplicity": 1, "relative_energy_ev": 1.412, "orbital_gap_ev": 9.203, "e_lumo_ev": 0.71}


3.